EMAIL: dalton@yahoo.com



DATE: 10/1/98



"There's a package in the pocket."

Jevon DeLain grimaced, letting his possessive glance stray over the sleeping redhead curled contentedly at his side in the rumpled bed. What the blazes was he doing? A woman didn't fit into his line of work. Private attachments were dangerous.

Both for him and the woman.

"Did you hear me?"

"I heard," Jevon grumbled, scowling. "Your timing is...inconvenient."

"When's it not inconvenient?"

Jevon heaved a silent sigh. "Location?"

"Area C-4."

Jevon could hear the laughter in his caller's voice. "You gloating, Comeu?"

"Would you believe me if I said no?"

"I'm not a fool," he said, chuckling. "When?"


The scowl returned. "Bit of a rush."

"Personal jobs usually are."

"You, personal?"

The voice was slow in coming. " A friend, personal."

"The buyer checks?"

"I would send you on a call that didn't?"

"You really want me to answer that?"

"You're prepared to lie?"

Jevon chuckled. "Can't be there for a couple hours."

"Confirmed. Will transmit E.T.A. to the buyer."

His instructions received, Jevon leaned back against his crushed pillows and allowed himself another glance at the delightful woman who had shared his afternoon. "Damn inconvenient."

Sliding out of bed, he grabbed a quick shower, wrapped a fluffy towel around his slim waist and wandered back into the bedroom. The woman still slept soundly, a satisfied smile curving her passion-swollen mouth.

A lazy answering smile ghosted over his lips.

Danger be damned. This particular lady filled him with a warm feeling of security. And an incredibly hot surge of possession.

He couldn't let her go. He was too damn accustomed to having her at hand.

Chuckling softly, he leaned back through the bathroom door and snatched a towel from the rack. Several quick flicks of his wrist twisted the towel into a tight rope, and silent as a ghost, he crept toward the unsuspecting woman.

The coiled towel lashed out, striking her pale thigh and bringing her violently awake. "What...?'

Grinning wickedly, Jevon wiggled his brows at her. "Time to wake up, Manda."

"You're a real bastard, Jev," she grumbled, shoving back the heavy tumble of flaming hair.

He leaned down, kissing her mood away. "Take that up with me mum, love. Was her decision not to marry me da."

== Between two parts of the page: calculated molecules ==
(1)
102
Properties=species:S:1:pos:R:3:lowdin_charge:R:1 method="wB97M-V/def2-TZVPD" energy_ev=-166687.39607 gap_ev="5.37 / 5.85" de_lowest_ev=0.000 charge=-2 multiplicity=6
Mn -0.0449 -0.6363 -0.7671 0.62
C 1.2422 2.0171 -4.1583 -0.04
C 0.5092 1.3317 -3.0455 -0.29
N 1.0874 0.7558 -2.0598 -0.03
N 2.4399 0.7111 -2.0231 0.07
C 2.8372 0.0238 -0.9421 -0.48
O 2.1063 -0.4655 -0.0581 -0.11
C 4.3208 -0.1472 -0.8037 -0.14
C 5.2250 0.5528 -1.5971 -0.04
C 6.5894 0.3714 -1.4280 -0.10
C 7.0628 -0.5153 -0.4690 -0.12
C 6.1631 -1.2180 0.3215 -0.09
C 4.7984 -1.0317 0.1574 -0.02
C -0.9705 1.2751 -3.0533 -0.22
C -1.7011 1.9582 -4.0222 -0.03
C -3.0839 1.8917 -4.0095 -0.08
C -3.7051 1.1407 -3.0333 -0.06
C -2.9072 0.4870 -2.1061 -0.13
N -1.5817 0.5518 -2.1056 0.08
H 2.3089 1.9112 -3.9880 0.06
H 0.9916 3.0811 -4.2009 0.08
H 0.9874 1.5697 -5.1232 0.08
H 4.8358 1.2362 -2.3394 0.10
H 7.2881 0.9247 -2.0448 0.09
H 8.1294 -0.6563 -0.3376 0.09
H 6.5256 -1.9114 1.0710 0.09
H 4.0760 -1.5633 0.7643 0.11
H -1.1855 2.5416 -4.7720 0.10
H -3.6638 2.4241 -4.7541 0.10
H -4.7813 1.0517 -2.9773 0.10
H -3.3445 -0.1246 -1.3253 0.04
O 0.0448 -1.8448 -2.5105 -0.14
C 0.1905 -3.0590 -2.8781 -0.37
C 0.0044 -3.4230 -4.2439 -0.03
C 0.1209 -4.7197 -4.6852 -0.13
C 0.4328 -5.7527 -3.7966 -0.14
C 0.6363 -5.4313 -2.4678 -0.07
C 0.5449 -4.1230 -1.9897 -0.09
C 0.8220 -3.8367 -0.5856 -0.31
N 0.5449 -2.7335 0.0801 0.03
C 0.9910 -2.9164 1.3654 -0.15
C 1.5436 -4.1495 1.4923 -0.10
N 1.4356 -4.7266 0.2463 0.10
H -0.2486 -2.6183 -4.9247 0.10
H -0.0427 -4.9428 -5.7350 0.09
H 0.5003 -6.7794 -4.1325 0.08
H 0.8479 -6.2379 -1.7720 0.09
H 0.8734 -2.1482 2.1108 0.09
H 1.9694 -4.6687 2.3322 0.10
H 1.7389 -5.6472 -0.0082 0.13
C -5.9793 -1.7738 1.2567 -0.41
S -5.0546 -2.1888 2.7552 0.77
C -3.9453 -3.3912 2.1362 -1.03
C -2.9247 -3.1496 1.2648 -1.10
S -2.4943 -1.6730 0.5251 0.58
S -2.0013 -4.6022 0.8695 0.93
C -2.8615 -5.7518 1.8130 -1.53
S -2.4507 -7.3632 1.9181 0.40
S -4.1676 -5.0439 2.6658 0.86
H -6.5924 -0.9036 1.4911 0.02
H -6.6129 -2.6036 0.9459 0.03
H -5.2689 -1.5138 0.4722 -0.01
C 1.6848 0.0384 3.5226 -0.24
Si -0.0478 0.8086 3.3224 0.31
C -0.1177 2.1310 4.6941 -0.23
C -1.3230 -0.4745 3.8764 -0.23
Si -0.3427 1.4932 1.0984 0.39
Si 1.2499 3.2229 0.9537 0.32
C 0.9530 4.7679 2.0315 -0.23
C 1.4006 3.9898 -0.7768 -0.22
C 3.0018 2.7031 1.4539 -0.21
Si -2.3384 2.7283 1.0659 0.31
C -2.6769 3.9985 2.4482 -0.23
C -3.9115 1.6663 1.1478 -0.24
C -2.4191 3.7664 -0.5319 -0.23
H 1.6526 -0.8265 4.1943 0.02
H 2.3733 0.7668 3.9585 0.01
H 2.0986 -0.2784 2.5625 0.00
H 0.0155 1.6469 5.6704 0.02
H -1.0784 2.6483 4.7056 0.00
H 0.6709 2.8783 4.5827 0.00
H -0.9195 -1.0841 4.6928 0.02
H -1.6307 -1.1323 3.0616 -0.03
H -2.2242 0.0251 4.2449 0.02
H 0.0156 5.2678 1.7819 0.00
H 1.7679 5.4806 1.8473 0.02
H 0.9420 4.5376 3.0981 0.00
H 0.4837 4.5241 -1.0422 0.01
H 1.5961 3.2368 -1.5404 -0.01
H 2.2283 4.7083 -0.7888 0.02
H 3.0287 2.4133 2.5062 0.01
H 3.6791 3.5550 1.3215 0.02
H 3.3877 1.8667 0.8693 0.01
H -2.6938 3.5096 3.4243 0.00

She threw a downy pillow at him, hitting him square in the face. "Arrogant wretch."

Jevon waved his finger in her face, tutting her. "A lady with such a depraved mouth should make an effort to curb her ugly temper."

"I really don't now why I continue to see you," she said, stretching landuidly under the sheets.

Deep laughter rumbled from his chest as Jevon plucked the pillow from the carpet, tossed it in the air and batted it smoothly into a chair. "You couldn't bear causing my death, love. And you know I'd die of a broken heart if you left me."

"Broken heart? You? My dear man, you need a heart for it to break. You don't happen to have that human failing."

He grasped her chin, forcing her to meet his hot gaze. "I'm all too human in some ways, sweet."

An answering heat flared in her emerald eyes and she ran her tongue over swollen lips.

He chuckled. "Such wicked imaginings, my own. And so easy to read." He bestowed a kiss on the tip of her nose and spun away from her. "Up. Things need doing."

"I should say," she murmured, sending a shiver through him.

That cinched it. The woman belonged to him, and damned if he wasn't going to keep her. That grasping, wastrel of a husband be damned to hell, one way or another. he'd see to that when he finished his current business. Just see if he didn't.

Jevon scooped her up, sheet and all, and settled her on her feet with a sound slap on her silk covered bottom. "Come now, love. Don't be tedious."

"You really are a brute this afternoon, Jev."

"You think?" Jevon glided toward the closet, plunged a careless hand into the wardrobe's dark recesses and plucked a black silk shirt from the hanger. "Got troubles on my mind."

"Anything I can do to help?"

"Money, you mean?" He laughed his dark laugh. "Got plenty of my own."

"Jev, tell me what's wrong. You're scaring me."

He sighed. "Got a call I wasn't expecting. Too soon after the last one. Don't like taking high-security cases too close together."

"You accepted a case."

"No choice. Seems to be a favor."

"You're going out on a case....now?"

The warm glow faded from his eyes and he stared blankly at her from behind his barriers. "I said I was, didn't I?"

"But.." Her eyes dropped to trembling hands. "Where are you going, Jev?"

He exhaled noisily, shaking his head.

"Oh, please. Won't you tell me?"

"Best not."

She glided toward him, making sure to keep the black silk secured over her body. It pleased him that she didn't try using her body to entice his secrets from him.

"Do you have to go?"

Jevon shrugged. "Client's waiting."

"Send someone else." she whispered, "We've only had a little time."

Send one of the detectives who worked for him? Not hardly. Not for one of his special clients. It would be...unhealthy.

"I told you, it's a high-security call. Delicate. For the boss only."

She moved back to the bed and curlled up, resting her chin on her arm while her brilliant gaze roamed over him. "It'll be dangerous?"

"Questions? When we began, you were warned against asking questions about my work." He smiled then, taking the hurt of his words. "No more worries, Manda. I'll be fine."

"I can wait here for you. If you're not leaving the city...."she offered, her soft voice trembling.

Jevon crooked a curious brow.

"He..." she ducked her head. "He's away on business for the day."

His eyes flared darkly as he stepped into black jeans that hugged his lean hips like a second skin. "Go home, Manda."


He inserted a key into a locked drawer and twisted. "Your husband might call."

A soft whimpering escaped her pale lips.

"Ah, Jesus," he whispered, scooping her into his arms. "I didn't mean it, sweet. I swear."

"My fault." She hid her face in the hollow of his shoulder, nuzzling his neck. "I shouldn't have pushed."

Easing her back in his loose embrace, he meet her gaze and smiled. "No, you shouldn't have. And I shouldn't have snapped." He sighed. "I don't have time for this, Manda. I really have to go. Understand. I wish I could stay, but I really have to leave."

**Misplaced calculated molecules:**
# 1
{"formula": "H24KrO12", "method": "ωB97M-V with the def2-TZVPD basis set", "elements": ["Kr", "O", "H", "H", "O", "H", "H", "O", "H", "H", "O", "H", "H", "O", "H", "H", "O", "H", "H", "O", "H", "H", "O", "H", "H", "O", "H", "H", "O", "H", "H", "O", "H", "H", "O", "H", "H"], "xyz": [[10.3573, 10.2656, 14.5445], [12.5889, 11.9994, 12.2766], [13.0513, 11.7723, 13.0833], [13.2108, 12.5375, 11.7869], [10.3549, 7.3279, 12.1806], [10.1070, 7.2554, 13.1023], [11.3086, 7.2456, 12.1814], [9.6488, 10.0346, 11.2702], [9.2466, 9.7290, 10.4571], [9.7256, 9.2481, 11.8103], [10.6701, 10.5178, 18.3243], [11.2686, 9.8096, 18.0865], [9.8255, 10.0857, 18.4516], [7.9363, 13.7791, 13.7558], [8.1268, 13.7881, 14.6938], [8.7694, 13.5504, 13.3438], [13.8907, 10.8330, 14.4562], [14.1394, 11.2464, 15.2829], [14.7197, 10.5495, 14.0707], [11.6292, 14.0561, 14.7123], [11.4676, 13.4058, 15.3958], [12.0922, 13.5741, 14.0270], [13.2732, 7.8247, 15.0589], [13.1810, 8.7473, 14.8212], [13.1262, 7.3502, 14.2407], [9.9585, 13.0004, 11.9943], [9.7768, 12.0614, 12.0327], [10.9077, 13.0657, 12.0989], [12.2996, 9.2475, 11.0959], [11.3430, 9.2291, 11.1220], [12.5402, 9.9977, 11.6396], [7.0509, 11.0818, 13.9969], [7.2797, 11.1001, 14.9262], [7.0206, 12.0032, 13.7391], [11.8462, 12.9050, 17.3747], [11.3094, 12.2603, 17.8355], [11.5973, 13.7447, 17.7609]], "atomic_forces_ev_per_a": [[0.049, 0.019, 0.051], [-0.214, 0.221, -0.319], [0.304, -0.325, 0.752], [0.192, 0.134, -0.364], [-0.375, 0.054, -0.033], [-0.178, -0.120, 0.315], [0.435, 0.133, -0.223], [0.005, 0.486, -0.023], [-0.231, 0.031, -0.252], [-0.328, -0.571, 0.384], [-0.011, 0.148, 0.074], [0.269, -0.179, -0.094], [-0.276, -0.016, 0.051], [-0.879, 0.097, 0.417], [0.061, 0.181, 0.233], [0.813, -0.063, -0.698], [-0.232, -0.085, -0.150], [-0.062, 0.248, 0.416], [0.344, -0.205, -0.166], [-0.031, 0.382, -0.233], [0.052, -0.263, 0.566], [0.011, -0.089, -0.261], [-0.018, -0.237, 0.257], [-0.007, 0.489, -0.092], [0.034, -0.155, -0.187], [-0.497, 0.555, 0.089], [-0.043, -0.590, -0.274], [0.219, -0.160, 0.080], [0.868, -0.855, 0.015], [-0.199, 0.421, -0.212], [-0.086, 0.504, -0.004], [-0.181, -0.848, 0.012], [-0.001, 0.024, 0.162], [0.194, 0.708, -0.177], [0.211, 0.198, -0.349], [-0.292, -0.604, 0.205], [0.078, 0.332, 0.033]], "nbo_charge": [0.00, -0.98, 0.50, 0.48, -0.95, 0.48, 0.49, -0.96, 0.48, 0.49, -0.96, 0.48, 0.48, -0.97, 0.46, 0.51, -0.96, 0.50, 0.49, -0.95, 0.49, 0.46, -0.95, 0.48, 0.46, -0.97, 0.49, 0.49, -0.98, 0.48, 0.48, -0.96, 0.45, 0.50, -0.97, 0.50, 0.47], "e_homo_ev": -10.581, "relative_energy_kj_mol": 58.68, "gap_ev": 10.33, "lumo_energy_ev": -0.2, "largest_force_ev_per_a": 1.22}

# 2

"I know," she said, stepping out of his arms. "Call me?"

"Never doubt it."

Reaching into the opened draw, he pulled out a shoulder holster and shrugged into it. A second forage brought forth a police issue revolver. He checked the rounds andslid the gun into place.

Once more into the drawer revealed a nasty looking, serrated hunting knife, complete with a sheath he strappd onto his forearm. He eased the blade in and out, testing the delivery into his hand.

Finally ready to leave, he turned back to Manda and read the fear in her.

The fear that slammed into his gut so hard that it stunned him.

She was the good part of his life, but he had a dark side, too. A killing side. A side he could never reveal to her, and in theat moment he almost set her free... Would have set her free....

"How much danger are you walking into?" she blurted out, then clamped her hand over her mouth.

And he knew he'd die before he ever let her go.

"No more than any other time I've met with a special client."

After all, he was the main danger during these confabs, not the clients. He was the one who would get his hands dirty...so they could pretend they had no part in the destruction. "It's the biz, Manda. You knew that coming in."

"I knew you were a detective, Jev," she whispered, "I try not to think of the danger. Her frightened gaze skidded over him. "Jevon, you never leave this apartment without carrying an arsenal. It's hard."

Indulgent amusement sparkled in his eyes. "It's still the biz, sweet," he minimized, shrugging into his favorite black leather jacket and adjusting the drape to conceal the weapons he carried.

He dropped a chaste kiss on her cheek. "Thanks for caring, Manda. Now, go home. I'll call when I get back into town."

"So you are leaving town, then?"

He hesitated. "If I take the case, perhaps. In any event, I don't know how long I'll be, and I don't want to be responsible for any more of those." He gently tugged the sheet down her arm and kissed the ugly purple and green bruises forming a garish design on her alabaster skin.

She ducked her head. "He doesn't know his strength."

Jevon forced her to meet his gaze with a gentle finger under her chin. "He knows, Manda. He knows."


Dragging mirrored glasses down his elegant nose, Jevon surveyed the weathered country church and grounds.

Quiet. Too quiet? Time would tell.

He unfolded from the car and, stretching his arms high above his head, cast his lazy glance in all directions, searching and finding nothing to alert him to danger.

Dropping his arms, he gave his shoulders a shake, and wandered with no apparent direction around the church yard. His shielded gaze covered the area, taking in each minute detail, and organizing an escape route in case the meet went sour.

His leisurely stroll led him finally back to the church steps and he leaned against the roughened railing. His searching glance traveled up and down the gravel road.

As far he could tell, he was quite alone.

"Okay, personal favor....this better be worth it." He climbed the steps and pushed open the double doors, pausing there while his eyes adjusted to the dim lighting

The client was slumped forward in a pew midway up the room, a ragged hat rammed down over his face, the collar of his coat pulled up to conceal the heavy jaw and not doing a very good job of it.

"Amateurs..." Jevon grumbled, striding silently down the hardwood floor. "Gonna be the death of me, I just know it."

Settling into place behind the way too obvious man, Jevon snatched the rumpled hat away and flipped it onto the pew. "Fold down that bleeding collar, fool. You trying to broadcast you're not doing what's exactly nice? And if you complete that turn, you're not gonna like the end results."

"Preacher?" Silence. "You him? Preacher, I mean?"

Jevon rested long-fingered hands at the base of the man's neck, letting him know his danger. "Who sent you?"

Jevon could feel a wild trembling rush through the chunky, little man. Knew he'd frightened him witless. He leaned closer, tightening his hold ever so very slightly. "Who sent you?"

"Comeu....." the man stammered. "Link Comeu. He claimed Preacher was the best man for what I need done."

"That's either a good guess or you are indeed the man I am here to see," He let his breath slither over the man's neck. "Scared?"

A gratifying shiver shot through the body under his hard fingers.

"Of course not," the man denied.

Jevon's low laugh broke the still air and he leaned back in his own pew. "It's your money. Talk."

The man fumbled in his briefcase, then handed an over-stuffed manila envelope over his shoulder. "All the information you need is here."

Jevon stared, unmoving, at the envelope.

"Here. Take it," the man insisted, turning his head sightly.

Jevon shot forward, grabbing the man's head between cruel hands, forcing him to face front, exerting just enough pressure to make him know he meant what he said. "You see my face, friend, and it's the last thing you ever see."

Trembling rippled under his fingers and Jevon laughed. "Yes, you understand."

"But the money is in...."

Jevon snatched the offensive envelope from the man's shaking hand and dropped it on the pew beside him without looking at it. "I don't take an assignment without a damn good reason. What's your reason for wanting the touch?"

"My...My reasons?" The man wiped a rumpled kerchief over his forehead. "I wasn't told I'd have to explain. Just that I was to bring the money. Two mill for each. There is four million in that envelope your tossing around like it were lunch change."

"You want the best, you pay a high fee" Jevon leaned close once more, his breath raking over the man's skin. "I am sitting here waiting for your reason."

"Don't like the way this thing is going, mist...."

Jevon's fingers found a point in the folds of the man's neck, causing him more than a little discomfort. "Talk to me."

"Okay. Okay. Stop, I'm ready to talk."

Jevon patted the man's shoulder. "Make it good. I wouldn't want to think you'd waste my time. I'll have you know, you interrupted what was turning out to be a very enjoyable afternoon. Who you want terminated?"

"My bitch of a wife. And her lover. They've become inconvenient to my position."

"And you think a spot of murder is your best recourse?" Jevon jeered. "Drastic, what with divorce being the accepted practice for getting shed of an unwanted mate."

Another swipe of the kerchief. "Can't divorce the bitch." He slouched forward. "Amanda controls the purse strings. Know what I mean? Giving her the divorce she asked for would be tantamount to cutting my own throat."


Jevon felt the tiny hairs at the back of his neck stand on end. "Your wife's name is Amanda?"

Jevon snatched up the manila envelope and tipped the photographs into his hand.

He had to admit he took a damn fine picture, and Manda was an angel on his arm.

"Yeah, Amanda. A real looker, too," the man was saying. "Ordinarily I wouldn't make a fuss. She's always been discreet, know what I mean? A real lady tramp. But this man's different, see? She wants a divorce. Be with him." He snorted. "As if I'd let her go and take all theat lovely money with her. I'd be ruined."

Jevon leaned in on the man. "You have a name for this man?"

The client shrugged. "Her lover, nah. Couldn't pin it down, but I did manage to get an uptown address on him. The guy's apparently silent owner of a big wig P.I agency. Hides his name behind a kazillion false company names. Can you beat that? Amanda with a private investigator."

Judas preist. This damn man had actually tracked him down to his office. Hell, he really had to be slipping. "Imagine that. You find that out all by yourself or have somebody do it for you?"

The man sat taller, secure in false pride. "I followed her to his place. Watched them together for half a day. That's where I got the pictures."

Jevon glanced down at the pictures and grinned as he remembered that particular day. He'd taken Manda for a long, quiet walk through the park. Ended the day with a picnic under the shade of a giant oak. A fun day. Free of worry.

A day to get sloppy.

"No one else knows about your wife's indiscretion?"

"Just you and me. Do you think I want strangers knowing the kind of woman I married?"

"What about the negatives? You've destroyed all trace of these pictures?"

"Damn right I did," he retorted. "Can't have them laying around for some snooping maid to find."

Jevon patted the man's shoulder. "You've done a good job covering this mess up. But you came to me. How do you know I can be trusted?"

"You have as much to lose as I do if all this came out. Just talking to me about this is a crime. With you being an assassin, I don't think you'd risk saying anything." He laughed nervously, jerking at his collar. "When it comes to it, you have more to lose than I do. There might be
outstanding warrents...unsolved cases...the like that could could come out."

Cobra-fast, Jevon wrapped his long fingers around the man's throat and squeezed. "That sounds dangerously like a threat, friend."

Fat, flaccid fingers fluttered uselessly, plucking at Jevon's relentless crushing grip. "It wasn't a threat, I swear."

Jevon chuckled, loosening his hold just enough to give the man an easier time of breathing. "You are smart, London. I'll give you that. Too damn smart," he whispered. "Too bad."

"How...How did you know my name? I was told no names were exchanged."

Jevon caught a handful of the man's hair, jerking London to his feet, spining him around. "You just made of hell of a mistake, London. Recognize anyone?"

London blanched, his eyes darting to the spilled pictures and back to the man who held him in his deadly embrace. "Jesus God."

"Name's Jevon, mate."

The knife slithered out of its sheath.

London's muddy eyes bugged. "Please...."

Jevon dragged the blade across London's cheek, leaving a red streak. "You keep making mistakes, London. Bad ones." A hungry, predator's smile flashed. "You saw Preacher's face, man. But worse, you hurt Preacher's lady. Hurt her dirty."

"I'll give you anything. Just let me go."

Jevon shook his head. "For what it's worth, I'd already planned your elimination once this contract was filled, London, so you realize this hit is more than an idle whim." The knife passed over London's other cheek. "Manda will make a delightful widow, don't you think?"

"Oh, God, please...."

"That's the biz, London."

The knife slashed, severing London's throat. Blood sprayed over London's topcoat, staining it bright red.

"Damn," Jevon grumbled, watching his own expensive leather jacket absorb the gushing blood. "Dammit, I really liked this jacket, too."

Nothing for it, now. Just get a new one before heading home. No sense letting blood stains upset his lady.

Sighing, he eased the dead man down on the pew and tipped the lolling head forward to conceal the gaping wound.

Working fast now, he cleaned the blade of his knife on the coat sleeve before sliding it safely home. A quick search of the body removed any identifying information and confirmed that the man had carried nothing that would point to this fatal meeting.

-- Inserted here: quantum chemistry results --
-- begin --
{
  "formula": "C30H26BrN10O5S5Ta",
  "method": "wB97M-V/def2-TZVPD",
  "symbols": ["C", "C", "C", "H", "C", "C", "H", "C", "C", "O", "H", "H", "S", "C", "H", "H", "N", "H", "C", "C", "C", "H", "Br", "C", "C", "C", "N", "H", "O", "C", "C", "H", "H", "C", "C", "S", "N", "H", "C", "H", "C", "C", "C", "H", "N", "H", "N", "H", "H", "H", "O", "O", "H", "N", "H", "H", "C", "O", "N", "C", "C", "H", "H", "N", "S", "H", "S", "C", "H", "Ta", "C", "S", "C", "N", "H", "C", "N", "C"],
  "coordinates": [[1.72709, 0.26746, -4.90071], [0.23228, 3.52500, 4.23258], [3.28012, 3.82562, 1.24091], [4.38261, 1.96663, 2.56382], [2.54225, -2.41453, 0.39171], [-0.33847, 2.91712, -0.35660], [-7.59714, -1.98735, 1.16276], [-6.56249, -2.10600, 1.45190], [3.71452, -2.21562, -2.07968], [-5.38057, -4.92439, -1.12478], [5.18775, -3.60895, -1.31419], [2.63827, 4.41844, 1.89949], [-0.40364, -3.02405, -0.16957], [-0.99858, 4.13161, 3.94945], [-2.14617, 1.67961, 2.11214], [2.99598, 0.89117, 2.64621], [1.97815, -1.63268, -0.51248], [-1.84033, 4.08628, -1.10700], [-6.17087, -3.18573, 2.23042], [-4.83792, -3.36010, 2.57229], [1.89437, -0.65144, -2.67755], [2.04306, -2.48371, 1.35302], [-6.18952, 0.21436, -0.10888], [3.54600, -1.32499, -4.34617], [-4.27600, -1.33340, 1.38808], [-1.85478, 3.41022, 3.16748], [1.43642, 0.77793, 0.40688], [-1.98834, 1.90997, -0.44752], [5.59379, -2.98901, -4.99309], [-3.23259, -0.35154, 1.04565], [-2.01211, -3.24619, -0.72843], [4.29317, 3.88524, 1.62288], [-1.24823, 5.11653, 4.31145], [-4.39781, -4.25733, -1.14890], [0.67448, 1.02954, -4.45969], [-0.00414, -0.03045, 2.76377], [-1.51117, 2.18038, 2.75268], [2.06136, 0.32261, -5.92899], [1.76977, 2.02491, 0.55648], [-2.82406, 3.77766, 2.85753], [0.27685, 0.91259, -3.12826], [3.70194, -3.14348, 0.13538], [4.28960, -3.05209, -1.10189], [1.37352, 3.94822, -0.00847], [2.86976, 2.42648, 1.20739], [3.29717, 4.26405, 0.24055], [0.97924, 3.02350, 0.01876], [2.09102, 0.18549, 0.89478], [0.14606, 1.70100, -5.12077], [4.11469, -3.78542, 0.90037], [-2.04180, -0.85097, 0.75380], [-3.38838, 0.86200, 1.07067], [3.92594, -1.27424, -5.35849], [0.84767, 0.08796, -2.26410], [-6.91359, -3.89723, 2.56466], [-2.85201, -2.56411, 2.41069], [3.64380, 1.44594, 1.96424], [6.36616, -2.68726, -2.99445], [0.55792, 2.31696, 3.81361], [-3.89507, -2.44619, 2.14298], [-5.62328, -1.17882, 1.03830], [-0.55118, 1.49923, -2.74952], [-0.33889, 4.90270, -0.95120], [5.49168, -2.64538, -3.83909], [-4.27698, -2.70633, -2.03184], [-4.53123, -4.21101, 3.16489], [-1.89545, -0.90319, -2.10984], [-0.33096, 1.59805, 3.10748], [0.98110, 4.04585, 4.82037], [-0.38796, -0.53047, -0.10052], [2.38145, -0.58110, -3.99353], [-2.87027, -4.71393, -0.34615], [-2.65200, -2.33396, -1.52737], [-0.87580, 4.06262, -0.82631], [4.17633, 0.75247, 1.30578], [2.53678, -1.52466, -1.73135], [-1.00306, 1.81920, -0.22288], [4.20271, -2.05532, -3.42402]],
-- stop --

Standing back a bit, like an artist surveying his canvas, Jevon ran his glance over the body, assuring himself that the man appeared to be in private council with his god.

Finally pleased with his handiwork, Jevon picked up the overflowing manila envelope and bundled the incriminating pictures back into the package. Manda would enjoy the pictures. She'd always wanted a few. And the money was hers anyway. He'd be sure to see it was lavished on her.

Chuckling, he stuffed the envelope into his hip pocket and strode from the church, whistling a vague little tune.

Back at his car, he stripped of the ruined jacket and frowned. Pity he'd had to mess it up. "That's the biz, Jev, old mate. Deal with it," he told himself, reaching into the backseat for a black garbage bag. He stuffed the jacket in and followed it with the blood spattered driving
glove, tying it off and tossing it back in.

Someone would be around to pick it up once he got home.

His predatory smile ghosted over full lips as he glided the sleek car back onto the country road and sped back toward the city. Grabbing his cellular, he dialed a number and listened while the call was routed and re-routed.




"Package has been dispatched."

"Need anything on this end?"

"Yeah. Send a cleaner. Afraid the delivery got a little...messy."

A moment's silence. "On the way."

"Good. About the favor?"



"Don't mention it. It never happened." Another pause. "You're on leave, Preacher. No more.... inconveniences for a week."

"Yes, sir. And thanks again," he cut the connection, whistling a tuneless ditty.

Manda would be getting a call soon, now. She'd be needing his strong, suppporting arms real soon now.

Inconvenience be damned.